(Entries)
The following is a quantum chemistry calculation of a 2-piece molecular cluster, CH2N2O3S overall, from the OMol25 dataset.

```
9
Properties=species:S:1:pos:R:3:forces:R:3:mulliken_charge:R:1
C -2.752295 -1.582085 -0.013152 0.1932 5.9835 -0.5640 0.08
N -2.495955 -2.638361 0.294333 0.6341 -3.3175 0.8162 -0.37
N 0.034259 -0.110402 0.413802 0.3558 -1.1309 0.4382 -0.32
O -1.812677 1.023725 -1.476899 -1.0561 -0.3770 3.2918 -0.46
O -3.256040 1.693439 0.505628 -0.3993 0.2635 0.3659 -0.40
O -0.791691 0.833948 0.903082 -1.9181 -0.2056 -0.6807 -0.15
S -2.266820 0.885472 -0.074664 1.8038 -2.0577 -2.8514 0.97
H 0.021757 -0.001408 -0.625164 0.3889 -1.0503 1.0936 0.33
H -0.093618 -1.047724 0.949413 -0.0022 1.8919 -1.9097 0.31
```
Positions in Å, forces in eV/Å.

The value obtained for the lowest unoccupied orbital energy (spin up / spin down) is -3.2 / -3.2 eV. As for the charge: 0. The gap between HOMO and LUMO (spin up / spin down) is 7.9187 / 7.9203 eV. The total energy is -772.506561 Ha.

***

The following is a quantum chemistry calculation of C27H66Cl2GaO7 as an isolated structure, from the OMol25 dataset.

```
103
Properties=species:S:1:pos:R:3:forces:R:3:mulliken_charge:R:1
C 1.600288 0.010156 -6.902117 1.0885 0.1603 1.2501 -0.47
C 1.800070 -0.112576 -5.533980 -0.3102 -1.0867 -1.2562 -0.22
Ga 0.427653 0.122094 -4.021374 -0.0180 -2.1360 0.0065 -0.65
C 0.118897 -1.783125 -3.226387 -0.2317 0.2727 0.6113 -0.60
C -0.779268 -1.772222 -1.939784 0.2912 -0.5352 -1.6581 -0.60
O -0.648168 -0.575821 -1.182668 0.1911 -0.2540 0.4309 -0.01
C 0.503124 -0.592341 -0.374670 -0.0097 0.1619 1.2591 0.86
C 0.368605 -1.552107 0.881181 0.6852 0.0963 -1.2520 -1.14
C -1.431260 0.830108 -4.560994 -0.0038 0.5672 -0.7066 -0.54
Cl -2.702678 -0.495722 -4.767927 0.3366 0.4609 0.3528 -0.27
C -1.521254 1.785386 -5.802552 -0.7277 0.3613 0.6997 0.14
C -0.381933 2.827586 -5.887010 -0.3590 0.1269 0.1690 -1.04
Cl -1.784009 0.894644 -7.390798 0.4329 0.5114 0.4803 -0.22
H 2.266376 0.719990 -7.447178 0.4188 -1.5221 -0.2972 0.18
H 0.873621 -0.560367 -7.494692 -0.7850 1.3598 0.4958 0.28
H 2.859213 -0.325269 -5.229801 -0.6361 2.0839 -0.1330 0.10
H 1.031484 1.050593 -2.850687 0.1767 0.3773 -0.1813 -0.05
H -0.390162 -2.442363 -3.958542 0.3383 0.4003 0.2138 0.52
H 1.114037 -2.245092 -3.009996 -0.5007 0.2170 -0.1163 0.28
H -1.833095 -1.805634 -2.281084 0.5076 -0.0101 0.3913 0.18
H -0.552439 -2.693695 -1.370497 -0.3465 0.6762 0.2502 0.00
H 1.432423 -0.815297 -0.938990 -0.5369 -0.0178 -0.0180 -0.50
H 0.618682 0.429005 0.037236 -0.0145 -0.3822 -0.4668 0.04
H 1.318865 -2.126037 0.928691 -0.4886 0.3063 0.4761 0.30
H 0.206654 -0.948514 1.785423 -0.0135 -0.5869 -0.1994 0.21
H -0.427263 -2.300149 0.715419 0.2010 0.5259 0.2464 0.39
H -1.806764 1.432784 -3.704003 0.1801 -0.3882 -0.5007 0.34
H -2.459925 2.369939 -5.680808 0.4119 -0.4254 -0.4179 0.38
H -0.495014 3.507327 -5.012592 0.0720 -0.4111 -0.4131 0.26
H 0.633007 2.404305 -5.852273 -0.4859 -0.0312 -0.1639 0.15
H -0.512835 3.448102 -6.796948 0.1389 -0.3999 0.4459 0.38
C -0.136034 -5.602422 -4.222136 0.2477 0.1157 -0.0764 -1.27
C -0.514398 -5.622896 -2.749123 -0.5217 -0.1227 -0.4632 0.58
C -1.166145 -6.943492 -2.364160 0.0658 -0.1081 0.2571 -1.46
O -1.405725 -4.548978 -2.467078 0.1495 -0.2935 0.2893 -0.47
H -1.023962 -5.715333 -4.851782 -0.0198 -0.0999 0.0669 0.31
H 0.321777 -4.648182 -4.484890 0.0134 -0.0133 0.0689 0.27
H 0.565464 -6.405731 -4.461987 -0.0425 -0.0040 -0.0176 0.41
H 0.377674 -5.462797 -2.139535 -0.0946 0.1627 0.0481 0.25
H -2.087786 -7.100395 -2.932557 0.0771 0.0157 -0.1068 0.36
H -1.439790 -6.941714 -1.306997 0.0670 0.0129 -0.0162 0.35
H -0.495257 -7.785762 -2.550079 -0.0436 -0.0054 -0.0125 0.38
H -2.198903 -4.673193 -2.997681 -0.0118 0.0529 -0.0883 0.31
C -0.863440 -0.148822 6.371747 0.1869 0.1297 0.0630 -1.44
C -1.132300 -0.115005 4.875161 -0.4474 -0.5107 0.3620 0.86
C -2.621026 -0.147229 4.578124 -0.2148 -0.0982 -0.0547 -1.19
O -0.499959 -1.224432 4.240559 0.4053 0.2029 -0.1848 -0.50

(Job)
Search the rows earlier on for the word "and" and set down each line that has it.

(Written answer)
The value obtained for the lowest unoccupied orbital energy (spin up / spin down) is -3.2 / -3.2 eV. As for the charge: 0. The gap between HOMO and LUMO (spin up / spin down) is 7.9187 / 7.9203 eV. The total energy is -772.506561 Ha.